Tourist season down south

I’m sure I’ve mentioned before (although I can’t easily find out where, as you’ll read below) about the difficulties faced by many small businesses in Cape Agulhas during holiday season. Put simply, because of the region being just too far out of Cape Town to easily attract day or weekend visitors, there are about 50 weeks of relative calm and quiet (which is why I love it down here), followed by 2 weeks of annual chaos.

Compare and contrast with Hermanus which is 75 minutes out of Cape Town (if you ignore the nonsense of Somerset West) and is busy most weekends with tourists from the Mother City. They can run businesses with plenty of staff all year round. They’re experienced in dealing with large numbers of people, and even when December is busier, they’re ready to go.

But Hermanus used to be lovely. Now it’s just like another busy city. So actually, vive le difference.

These molecular data were left in the entry by mistake:
No. 1
Molecular formula: C24H14AsBr4FeO2S
Method: DFT, the ωB97M-V functional and the def2-TZVPD basis

HOMO-LUMO gap (spin up / spin down)	6.23 / 6.39	eV
E_LUMO (spin up / spin down)	-1.43 / -1.51	eV
2S+1	2
expectation value of S²	0.798

The geometry in XYZ format:
```
47
Properties=species:S:1:pos:R:3:lowdin_charge:R:1
C -2.470 -3.575 2.470 -0.0906
C 1.804 0.123 -0.395 -0.0610
C 0.581 3.275 -2.111 -0.6265
Fe -1.634 -0.043 -1.982 0.2365
H 3.882 -1.600 -2.573 0.0958
Br 4.713 2.518 -2.510 0.7842
H -4.001 -4.168 -0.503 0.0995
As -0.905 -0.401 0.193 1.3376
C -3.278 -4.187 1.517 -0.0816
Br 2.773 5.112 -1.884 0.7568
C -0.852 2.755 3.670 -0.0787
C 2.824 0.003 -1.482 -0.2698
C 0.135 1.780 3.624 -0.0780
C 0.930 -0.898 -0.140 -0.3518
C -0.046 2.081 -2.293 -0.4441
H 0.911 0.085 2.561 0.1032
C 2.835 2.361 -2.433 -0.7625
C 0.785 0.915 -2.621 -0.3343
O -1.317 1.850 -2.217 -0.1696
H -2.599 3.565 2.723 0.1069
C -0.854 0.881 1.626 -0.3543
Br -0.520 4.738 -1.726 0.8115
C 0.137 0.842 2.602 -0.1105
H 2.482 -3.438 -1.808 0.1123
C -1.836 1.865 1.667 -0.0955
C 3.053 -1.411 -1.907 -0.0683
C -1.836 2.798 2.693 -0.0746
H 1.624 1.117 0.008 0.1239
H -1.117 -1.951 2.849 0.1014
C 1.143 -2.186 -0.655 -0.0621
C -3.367 -3.685 0.229 -0.1190
Br 2.810 0.386 -4.450 0.8530
H -2.411 -3.972 3.475 0.1007
H -0.849 3.488 4.466 0.1049
S -2.789 -1.929 -1.795 0.6281
C 2.299 0.978 -2.647 -0.6694
H 3.785 0.430 -1.182 0.0999
H 0.906 1.751 4.382 0.1053
C -1.745 -2.448 2.118 -0.0945
O 0.189 -0.157 -2.800 -0.0182
H -3.849 -5.067 1.784 0.1045
H 0.430 -2.976 -0.459 0.1066
C 2.273 -2.428 -1.479 -0.0630
H -2.591 1.913 0.891 0.1064
C -1.832 -1.948 0.826 -0.3970
C -2.645 -2.549 -0.139 -0.6741
C 2.039 3.406 -2.182 -0.7301
```

***

No. 2
Molecular formula: C24H14Co2O6
Method: DFT, the ωB97M-V functional and the def2-TZVPD basis

HOMO-LUMO gap	4.08	eV
E_LUMO	4.93	eV
energy relative to the best compared isomer or geometry (same formula, charge and spin)	106.87	kJ/mol
total charge	-2

The geometry in XYZ format:
```
46
Properties=species:S:1:pos:R:3:lowdin_charge:R:1
Co 0.292 0.988 2.683 0.0331
C -0.119 -0.693 1.677 -0.3160
C 1.152 -0.102 -2.705 -0.2473
Co 1.625 -1.044 1.937 0.0537
C -2.246 -1.856 0.881 -0.0124
C -0.554 2.960 -5.077 -0.1570
C -3.499 -2.411 1.219 -0.1112
O 3.879 0.787 2.072 0.0849
C 0.353 0.972 -3.382 -0.2173
C -1.738 -1.647 3.256 -0.0470
O 1.787 -2.042 4.687 0.1046
C 2.880 0.203 1.999 -0.1721
H -0.229 -0.125 -1.296 0.0887
H -1.018 -1.374 4.037 0.0875
C -0.940 0.878 -3.879 -0.0709
H 1.454 3.790 -4.946 0.0878
O 1.919 3.354 2.191 0.0728
H -4.824 -2.977 2.799 0.0725
C 2.585 1.690 -3.323 -0.1059
H 1.399 -1.491 -1.245 0.0895
C -1.278 1.714 2.529 -0.1845
C 1.208 2.071 -3.666 -0.2197
O 0.439 0.676 5.578 0.0577
C 1.318 2.384 2.354 -0.2098
C -1.398 1.893 -4.732 -0.1519
C 0.416 0.720 4.420 -0.2227
C 1.638 -1.612 3.628 -0.1674
C 0.682 -0.642 -0.896 -0.1154
H 3.357 -0.042 -2.208 0.0805
H -4.170 -2.702 0.398 0.0885
H -1.547 0.014 -3.612 0.0958
H -1.909 -1.763 -0.159 0.1041
H 1.034 -1.105 -3.221 0.1271

Reasonably though, you can’t set up a small business in Agulhas to effectively deal with that sort of wild seasonal dichotomy.

And so there are issues with too few tables at restaurants, not enough goods in supermarkets, slow service in both, and general frustrations for everyone concerned: the tourists are hungry and could be on the beach, the businesses could be getting more people in and out through their doors and making more money. And that’s so annoying, because this is their one fortnight chance to make proper moolah to last them through the harder times ahead.

There’s no easy answer.

And then there’s the water and the internet. Struisbaai relies on boreholes to get water for its +/- 4,000 residents. There’s no rain here in summer. Boreholes need electricity though, and there isn’t a lot of that about at the moment. There’s quite literally not enough water to go around at the best of times.

But there are over 20,000 tourists visiting throughout Christmas and New Year. They don’t care about the water restrictions, because their GP-registered Chelsea Randburg tractor is near the sea, and will rust overnight if they don’t hose it down each evening. And so we literally run out of water some days.

But remember that if you are a tourist, the place you’re visiting is completely yours for the duration of your stay. Never mind the other people visiting, and certainly don’t worry about the local residents – they’re just there for you to use and abuse as you wish.

But that’s another story.

Anyway, we’re a bit tight on resources, so it’s a good job they’re not planning on building 650 new housing units down here.

Oh. Wait.

And the internet at our cottage in our little village is via one mobile operator. There’s a single small mast here, and it doesn’t like loadshedding. It also doesn’t like it when the village is full of people. It can’t cope. And so this post, while being typed on my laptop, will then have to be transferred to my phone via Whatsapp, formatted on the WordPress app, moved into one of the larger villages nearby and uploaded from there.

Needs must.

I don’t like it when it’s so busy here, but I get it: without these two weeks each year, there wouldn’t be anything here for the other 50.

But I am looking forward to some February sunshine and a beach to myself (and the beagle) again.